The belief that it is necessary for rites or repeated sets of actions to be carried out.
Certainly the asceticism and ritualism might so be interpreted, for there was among the Jews of the Dispersion an increasing tendency to asceticism, by way of protest against the excesses of the Gentiles.
Magee took a prominent part in the Ritual controversy, opposing what he conceived to be romanizing excess in ritual, as well as the endeavour of the opposite party to "put down Ritualism," as Disraeli expressed it, by the operation of the civil law.
The Sassanid Empire, indeed, is completely dominated by this formalism and ritualism; but the earlier testimony of Darius in his inscriptions and the statements in Herodotus enable us still to recognize the original healthy life of a religion capable of awakening the enthusiastic devotion of the inner man.
With them the ritualism and magical character, above mentioned, are fully developed.
Colenso's Commentary on the Romans in 1861, Wilberforce endeavoured to induce the author to hold a private conference with him; but after the publication of the first two parts of the Pentateuch Critically Examined he drew up the address of the bishops which called on Colenso to resign his bishopric. In 1867 he framed the first Report of the Ritualistic Commission, in which coercive measures against ritualism were discountenanced by the use of the word "restrain" instead of "abolish" or "prohibit."
_The text is interrupted by records of crystals_
____________
1.
Compound: InSiSe2S
Source: Alexandria
Functional: GGA-PBE
Structure: optimized geometry

CIF file:
```
data_InSiSe2S
_chemical_formula_sum 'In1 Si1 Se2 S1'
_space_group_name_H-M_alt 'P 1'
_space_group_IT_number 1
_space_group_name_Hall 'P 1'
_cell_length_a 4.974
_cell_length_b 4.826
_cell_length_c 4.974
_cell_angle_alpha 90.00
_cell_angle_beta 90.00
_cell_angle_gamma 90.00
loop_
_atom_site_label
_atom_site_fract_x
_atom_site_fract_y
_atom_site_fract_z
S1 0.000 0.000 0.000
Si1 0.000 0.500 0.000
Se1 0.000 0.000 0.500
Se2 0.500 0.000 0.000
In1 0.500 0.500 0.500
```

SG ... P4/mmm, No. 123
Formation energy from raw total energies ... 0.444 eV per atom
Total magnetic moment ... 0.0 μB/f.u.



2.
Compound: InSnSeS
Source: Alexandria
Functional: GGA-PBE
Structure: optimized geometry

CIF file:
```
data_InSnSeS
_chemical_formula_sum 'In1 Sn1 Se1 S1'
_space_group_name_H-M_alt 'P 1'
_space_group_IT_number 1
_space_group_name_Hall 'P 1'
_cell_length_a 4.063
_cell_length_b 4.035
_cell_length_c 7.607
_cell_angle_alpha 105.06
_cell_angle_beta 90.00
_cell_angle_gamma 120.23
loop_
_atom_site_label
_atom_site_fract_x
_atom_site_fract_y
_atom_site_fract_z
In1 0.114 0.229 0.589
Sn1 0.937 0.874 0.060
Se1 0.352 0.704 0.302
S1 0.526 0.053 0.826
```

SG ... Cm, No. 8
Formation energy from raw total energies ... -0.338 eV per atom
Total magnetic moment ... 0.0 μB/f.u.



3.
Compound: Tb6InSe2S3
Source: Alexandria
Functional: GGA-PBE
Structure: optimized geometry

CIF file:
```
data_Tb6InSe2S3
_chemical_formula_sum 'Tb6 In1 Se2 S3'
_space_group_name_H-M_alt 'P 1'
_space_group_IT_number 1
_space_group_name_Hall 'P 1'
_cell_length_a 3.971
_cell_length_b 8.307
_cell_length_c 9.118
_cell_angle_alpha 103.25
_cell_angle_beta 102.58
_cell_angle_gamma 90.00
loop_
_atom_site_label
_atom_site_fract_x
_atom_site_fract_y
_atom_site_fract_z
Tb1 0.328 0.928 0.656
Tb2 0.661 0.595 0.322
Tb3 0.672 0.072 0.344
Tb4 0.998 0.270 0.995
Tb5 0.002 0.730 0.005
Tb6 0.339 0.405 0.678
In1 0.500 0.000 0.000
Se1 0.830 0.662 0.660
Se2 0.170 0.338 0.340
S1 0.500 0.500 0.000
S2 0.832 0.169 0.665
S3 0.168 0.831 0.335
```

SG ... C2/m, No. 12
Formation energy from raw total energies ... -1.637 eV per atom
Total magnetic moment ... 0.0 μB/f.u.



4.
Compound: TlIn2SeS2
Source: Alexandria
Functional: GGA-PBE
Structure: optimized geometry

CIF file:
```
data_TlIn2SeS2
_chemical_formula_sum 'Tl2 In4 Se2 S4'
_space_group_name_H-M_alt 'P 1'
_space_group_IT_number 1
_space_group_name_Hall 'P 1'
_cell_length_a 7.191
_cell_length_b 8.510
_cell_length_c 7.052
_cell_angle_alpha 111.00
_cell_angle_beta 90.00
_cell_angle_gamma 90.00
loop_
_atom_site_label
_atom_site_fract_x
_atom_site_fract_y
_atom_site_fract_z
Tl1 0.750 0.302 0.757
Tl2 0.250 0.698 0.243
In1 0.477 0.148 0.180
In2 0.023 0.148 0.180
In3 0.977 0.852 0.820
In4 0.523 0.852 0.820
Se1 0.250 0.305 0.006
Se2 0.750 0.695 0.994
S1 0.250 0.089 0.415
S2 0.250 0.677 0.665
S3 0.750 0.911 0.585
S4 0.750 0.323 0.335
```

SG ... P2_1/m, No. 11
____________
Disraeli, who from first to last held to the Reformed Church as capable of dispensing social good as no other organization might, supported the Bill as "putting down ritualism"; spoke very vehemently; gave so much offence that at one time neither the bill nor the government seemed quite safe.
The Kabirpanthis, tho still maintaining monotheism and being opposed to image-worship, have reverted to some practice of ritualism.
Children were taught via rote learning and the prayer became meaningless ritualism to some.
Generally, given the emphasis on formalistic ritualism, we may call these tendencies of the Moscow Patriarchate a ' High Church ' .
It seems that this is the perennial problem of excessive ritualism and a trust in buildings or the externals of the faith.
The Chi-Rho or Crook Inevitably, the Church adopted so-called pagan ritualism and its symbols.
Disraeli called high church ritualism " a mass in masquerade " .
Generally, given the emphasis on formalistic ritualism, we may call these tendencies of the Moscow Patriarchate a ' High Church '.
Disraeli called high church ritualism " a mass in masquerade ".
In primitive civilizations, reasons for tribal body scarification included religious ritualism, rites of passage like marriage or creating offspring and documentation of great achievements.
But Yahwism, like Islam, had its sects and tendencies, and the opponents to the stricter ritualism always had followers.
With the later High Church movement, usually described as Ritualism, he had less sympathy.
The Episcopalians, in this period, were nearly as much perturbed as the Presbyterians, by questions as to the election of bishops in relation to their exiled king, and by the introduction of ritualism in the shape of " the usages."
At all events, if these writings have many old elements and may be used to illustrate the background of the New Testament, they illustrate not only the excessive legalism and ritualism against which early Christianity contended, but also the more spiritual and ethical side of Judaism.